Global Shortcuts Dialog

Applies to TestComplete 15.53, last modified on August 07, 2023

The Global Shortcuts dialog sets keyboard shortcuts that you can use when recording or playing back a TestComplete project or a project suite, so that you could command TestComplete without moving the focus from the tested application.

To call the Global Shortcuts dialog, select Tools | Options from the main menu and then select General | Global Shortcuts from the tree displayed on the left side of the resulting Options dialog.

These inter-application shortcuts are perforce system global. They operate in all applications (pre-emptying existing shortcuts), whether or not TestComplete is in record or playback mode. Suppose, for instance, that an application uses Shift+F1 to display on-line help, and that this is the TestComplete shortcut to start recording. When TestComplete is running, pressing Shift+F1 in this application will not call the Help window; it will start TestComplete script recording.

You can change the shortcuts listed below. To enter a shortcut, click the corresponding option in the Shortcut column and then press the key combination you want to use as a new shortcut for the given option.

Action Default Shortcut Description
Low-level record Shift+F4 Starts recording a new low-level procedure based on screen coordinates.

Note: This shortcut has effect only when TestComplete is in recording mode.

Pause Shift+F10 Pauses the test run or test recording. This shortcut works in TestComplete and in Connected and Self-Testing applications.
Record Shift+F1 Starts test recording or resumes recording after pause.
Run Shift+F3 Runs the current TestComplete project or resumes the test run after a pause.
Select object Shift+Ctrl+A Selects the object under the mouse pointer in the Point and press a shortcut selection mode.
Stop Shift+F2 Stops the test run. This shortcut works in TestComplete and in Connected and Self-Testing applications.


If a global shortcut is already used by some other application and this application is started before TestComplete is launched, TestComplete is unable to use the shortcut. That is, if the shortcut is already used, you cannot enter it for an option. If the shortcut was set for an option earlier, it is displayed in the dialog, but it does not function.

In this case you can:

  • Assign another key combination to the TestComplete global shortcut in the Global Shortcuts dialog.

  • Remove the desired key combination from the application (if it supports shortcut customization) and assign it to TestComplete.

  • Launch the application, in which the desired shortcut is used, after TestComplete is launched.

(1)
# OsI2 | the Open Quantum Materials Database | PBE | relaxed
# Symmetry: Fd-3m
data_OsI2
_cell_length_a 8.4058
_cell_length_b 8.4058
_cell_length_c 8.4058
_cell_angle_alpha 60.00
_cell_angle_beta 60.00
_cell_angle_gamma 60.00
_space_group_name_H-M_alt 'P 1'
_space_group_IT_number 1
loop_
_space_group_symop_operation_xyz
'x,y,z'
loop_
_atom_site_label
_atom_site_type_symbol
_atom_site_fract_x
_atom_site_fract_y
_atom_site_fract_z
I1 I 0.8750 0.3750 0.3750
I2 I 0.3750 0.3750 0.8750
I3 I 0.3750 0.8750 0.3750
Os1 Os 0.5000 0.5000 0.5000
I4 I 0.3750 0.3750 0.3750
Os2 Os 0.2500 0.2500 0.2500

***

(2)
# KErZnO3 | the Open Quantum Materials Database | PBE | relaxed
# Symmetry: Cmcm
data_KErZnO3
_cell_length_a 6.2603
_cell_length_b 6.2603
_cell_length_c 8.9147
_cell_angle_alpha 90.00
_cell_angle_beta 90.00
_cell_angle_gamma 31.99
_space_group_name_H-M_alt 'P 1'
_space_group_IT_number 1
loop_
_space_group_symop_operation_xyz
'x,y,z'
loop_
_atom_site_label
_atom_site_type_symbol
_atom_site_fract_x
_atom_site_fract_y
_atom_site_fract_z
Zn1 Zn 0.5629 0.5629 0.7500
Er1 Er 0.0000 0.0000 0.0000
Zn2 Zn 0.4371 0.4371 0.2500
O1 O 0.9632 0.9632 0.7500
O2 O 0.0368 0.0368 0.2500
O3 O 0.3836 0.3836 0.4502
O4 O 0.6164 0.6164 0.9502
K1 K 0.7155 0.7155 0.2500
K2 K 0.2845 0.2845 0.7500
O5 O 0.6164 0.6164 0.5498
Er2 Er 0.0000 0.0000 0.5000
O6 O 0.3836 0.3836 0.0498

***

(3)
# HfZn2SnIr4 | the Open Quantum Materials Database | PBE | relaxed
# Symmetry: P4/mmm
data_HfZn2SnIr4
_cell_length_a 4.2892
_cell_length_b 4.2892
_cell_length_c 6.8099
_cell_angle_alpha 90.00
_cell_angle_beta 90.00
_cell_angle_gamma 90.00
_space_group_name_H-M_alt 'P 1'
_space_group_IT_number 1
loop_
_space_group_symop_operation_xyz
'x,y,z'
loop_
_atom_site_label
_atom_site_type_symbol
_atom_site_fract_x
_atom_site_fract_y
_atom_site_fract_z
Ir1 Ir 0.5000 0.0000 0.2464
Ir2 Ir 0.0000 0.5000 0.7536
Zn1 Zn 0.0000 0.0000 0.0000
Hf1 Hf 0.0000 0.0000 0.5000
Zn2 Zn 0.5000 0.5000 0.5000
Ir3 Ir 0.5000 0.0000 0.7536
Sn1 Sn 0.5000 0.5000 0.0000
Ir4 Ir 0.0000 0.5000 0.2464

***

(4)
# MgBeAl2Cu4 | the Open Quantum Materials Database | PBE | relaxed
# Polymorph energy (0 for the lowest one) (kJ/mol of atoms): 0.3
# Symmetry: P4/mmm
data_MgBeAl2Cu4
_cell_length_a 4.1307
_cell_length_b 4.1307
_cell_length_c 5.9773
_cell_angle_alpha 90.00
_cell_angle_beta 90.00
_cell_angle_gamma 90.00
_space_group_name_H-M_alt 'P 1'
_space_group_IT_number 1
loop_
_space_group_symop_operation_xyz
'x,y,z'
loop_
_atom_site_label
_atom_site_type_symbol
_atom_site_fract_x
_atom_site_fract_y
_atom_site_fract_z
Al1 Al 0.5000 0.5000 0.5000
Mg1 Mg 0.5000 0.5000 0.0000
Cu1 Cu 0.0000 0.5000 0.2731
Be1 Be 0.0000 0.0000 0.5000
Cu2 Cu 0.5000 0.0000 0.2731
Cu3 Cu 0.0000 0.5000 0.7269
Cu4 Cu 0.5000 0.0000 0.7269
Al2 Al 0.0000 0.0000 0.0000

***

Across the entries above, total DFT energy (no corrections) takes the values -3.728, -5.877, -6.959, -3.592 eV per atom, respectively.
== The data records stop here ==

See Also

TestComplete Options

Highlight search results